• #27
Hey I’m off to bed now but just wanted to say thanks to everyone for sharing your thoughts and info. I definitely feel better informed now and hopefully we’ll get a good result.
• #28
My understanding of the process; all the first preference votes are counted anyone who gets more than 50% wins outright this is unlikely outcome. I believe this is only possible for one candidate a, person I doubt that is Sadiq Khan. Personally I doubt he will, no candiate in all the Mayoral election has achieved this.
So there is a second round, where all but the top two drop out and peoples second preference votes are counted and one candidate wins. So it's ok to vote Green first pref and Khan second pref, the antis won't win by the back door and for me Khan is my second pref is a solid comment on his New Labour failings.
• #29
cyclists voting green meant that Khan didn’t get the 50%, it would be a strategic failure, right?
**Someone pasted calculated crystals at this point**
____________
For MoPb5, a crystal structure in Alexandria, relaxed with GGA-PBE gives the calculated XRD peak list in this record (copper Kα).

Structure:
```
data_MoPb5
_cell_length_a 5.450
_cell_length_b 3.397
_cell_length_c 18.172
_cell_angle_alpha 90.00
_cell_angle_beta 90.00
_cell_angle_gamma 90.00
_symmetry_space_group_name_H-M 'A m m 2'
_symmetry_Int_Tables_number 38
loop_
_symmetry_equiv_pos_as_xyz
'x,y,z'
'-x,-y,z'
'-x,y,z'
'x,-y,z'
'x,y+1/2,z+1/2'
'-x,-y+1/2,z+1/2'
'-x,y+1/2,z+1/2'
'x,-y+1/2,z+1/2'
loop_
_atom_site_label
_atom_site_type_symbol
_atom_site_fract_x
_atom_site_fract_y
_atom_site_fract_z
Mo1 Mo 0.000 0.000 0.000
Pb1 Pb 0.000 0.000 0.361
Pb2 Pb 0.000 0.000 0.646
Pb3 Pb 0.500 0.000 0.229
Pb4 Pb 0.500 0.000 0.547
Pb5 Pb 0.500 0.000 0.895
```

Most intense lines, 2θ = 10–90°, low angle first:
Position (°2θ), I_rel
25.53, 14
30.16, 23
32.87, 40
33.86, 39
34.45, 100
45.21, 16
59.71, 21
63.54, 13
64.66, 12
65.26, 12

* * * * *

This entry pairs a crystal structure of PmTm5Cu6 with its computed powder XRD pattern. Radiation: Cu Ka. Structure: DFT lattice parameters and positions (GGA-PBE).
Lines closer than 0.1° are merged.

Atomic structure:
```
data_PmTm5Cu6
_chemical_formula_sum 'Pm1 Tm5 Cu6'
_space_group_name_H-M_alt 'P 1 2/m 1'
_space_group_IT_number 10
_space_group_name_Hall '-P 2y'
_cell_length_a 4.8800
_cell_length_b 6.8353
_cell_length_c 7.7300
_cell_angle_alpha 90.00
_cell_angle_beta 108.28
_cell_angle_gamma 90.00
loop_
_atom_site_label
_atom_site_type_symbol
_atom_site_fract_x
_atom_site_fract_y
_atom_site_fract_z
_atom_site_occupancy
Pm1 Pm 0.0000 0.0000 0.0000 1
Tm1 Tm 0.0000 0.5000 0.0000 1
Tm2 Tm 0.3321 0.0000 0.6636 1
Tm3 Tm 0.3344 0.5000 0.6681 1
Cu1 Cu 0.1694 0.2538 0.3407 1
Cu2 Cu 0.5000 0.2627 0.0000 1
```

Largest 6 diffraction maxima, sorted by position, 2θ from 5° to 70°:
- 2θ 25.78, d 3.455, I = 21, (1 0 1)
- 2θ 36.73, d 2.447, I = 25, (0 0 3)
- 2θ 36.84, d 2.440, I = 25, (2 0 -1)
- 2θ 37.00, d 2.430, I = 100, (1 2 1)
- 2θ 66.33, d 1.409, I = 17, (1 2 4)
- 2θ 66.46, d 1.407, I = 17, (3 2 0)

* * * * *

The following is a theoretical X-ray diffraction stick pattern of AcPm6Tm2. It was derived from a structure optimized by DFT (GGA-PBE), using Cu Kα (weighted mean of Kα1 and Kα2).

Peak list (8 most intense, 10 to 80 degrees two-theta, sorted by position)
30.83°, I 92
31.02°, I 100
44.30°, I 34
54.98°, I 12
55.11°, I 37
61.15°, I 27
64.74°, I 8
78.62°, I 9

Crystal structure
```
AcPm6Tm2
1.0
-2.889 4.983 10.690
2.889 -4.983 10.690
2.889 4.983 -10.690
Ac Pm Tm
2 12 4
Direct
0.250 0.250 0.000
0.750 0.750 0.000
0.005 0.339 0.667
0.079 0.079 0.000
0.171 0.839 0.334
0.329 0.663 0.667
0.421 0.421 0.000
0.495 0.163 0.334
0.505 0.837 0.666
0.579 0.579 0.000
0.671 0.337 0.333
0.829 0.161 0.666
0.921 0.921 0.000
0.995 0.661 0.333
0.167 0.499 0.666
0.333 0.999 0.332
0.667 0.001 0.668
0.833 0.501 0.334
```

---
____________
No, not under transferable votes. Khan will get lots of first choice, but possibly under 50%. Therefore a top two runoff is almost inevitable, probably khan vs bailey.
Most first choice green votes will have khan as second choice and therefore khan wins to the exclusion of the shitface bailey, but with a notable amount of votes that prefer green to him.
It's a great form of democracy that allows you to make your honest choice without fear that second best loses to worst choice.
• #30
This makes sense - thanks for explaining.
I didn't realise that it was so unlikely / impossible for a candidate to get 50%. If that's the case and the second choices will be counted, then may as well use the transfer to send a message.
Annoying that not all greens back LTNs though.
• #31
Misplaced calculated crystals
- - -
Simulated powder diffractogram of ZnBi12O20 for Cu Kα (weighted mean of Kα1 and Kα2), from a cell relaxed with PBE.

Cell lengths 10.072, 10.072, 10.072 Å; angles 90.00, 90.00, 90.00 degrees
Space group I23 (No. 197)
Symmetry-distinct sites (fractional):
Zn  0.000  0.000  0.000 x2
Bi  0.005  0.316  0.172 x24
O  0.013  0.247  0.632 x24
O  0.115  0.115  0.885 x8
O  0.187  0.187  0.187 x8

Top 6 peaks for 2θ from 5° to 70°, low angle first:
- 2θ = 25.01°, rel. 22
- 2θ = 28.01°, rel. 100
- 2θ = 33.28°, rel. 67
- 2θ = 53.01°, rel. 47
- 2θ = 56.31°, rel. 26
- 2θ = 62.55°, rel. 21

Simulated powder diffractogram of Ta2BiSbOs2 for Cu Kα (weighted mean of Kα1 and Kα2), from a cell relaxed with PBE.

Cell lengths 10.882, 4.438, 10.896 Å; angles 90.00, 109.50, 90.00 degrees
Space group Pm (No. 6)
Symmetry-distinct sites (fractional):
Ta  0.000  0.000  0.000 x1
Ta  0.123  0.500  0.369 x1
Ta  0.250  0.000  0.746 x1
Ta  0.374  0.500  0.121 x1
Ta  0.498  0.000  0.494 x1
Ta  0.625  0.500  0.875 x1
Ta  0.752  0.000  0.245 x1
Ta  0.877  0.500  0.618 x1
Bi  0.125  0.500  0.872 x1
Bi  0.374  0.500  0.621 x1
Bi  0.625  0.500  0.370 x1
Bi  0.751  0.000  0.748 x1
Sb  0.000  0.000  0.494 x1
Sb  0.249  0.000  0.245 x1
Sb  0.500  0.000  0.997 x1
Sb  0.875  0.500  0.121 x1
Os  0.002  0.000  0.741 x1
Os  0.123  0.500  0.124 x1
Os  0.246  0.000  0.492 x1
Os  0.379  0.500  0.875 x1
Os  0.495  0.000  0.242 x1
Os  0.624  0.500  0.620 x1
Os  0.751  0.000  0.002 x1
Os  0.878  0.500  0.369 x1

Top 6 peaks for 2θ from 5° to 70°, low angle first:
- 2θ = 24.54°, rel. 31
- 2θ = 28.41°, rel. 11
- 2θ = 40.62°, rel. 100
- 2θ = 48.03°, rel. 15
- 2θ = 58.79°, rel. 17
- 2θ = 64.64°, rel. 4

Simulated powder diffractogram of Bi8Os2Se for Cu Kα (weighted mean of Kα1 and Kα2), from a cell relaxed with PBE.

Cell lengths 10.778, 10.778, 10.484 Å; angles 90.00, 90.00, 90.00 degrees
Space group P4_2/mnm (No. 136)
Symmetry-distinct sites (fractional):
Bi  0.000  0.000  0.217 x4
Bi  0.044  0.296  0.319 x16
Bi  0.112  0.888  0.500 x4
Bi  0.154  0.846  0.000 x4
Bi  0.176  0.176  0.000 x4
Os  0.213  0.787  0.264 x8
Se  0.000  0.500  0.000 x4

Top 6 peaks for 2θ from 5° to 70°, low angle first:
- 2θ = 31.30°, rel. 92
- 2θ = 31.62°, rel. 100
- 2θ = 34.27°, rel. 60
- 2θ = 35.33°, rel. 54
- 2θ = 37.53°, rel. 64
- 2θ = 38.48°, rel. 62
- - -
didn't realise that it was so unlikely / impossible for a candidate to get 50%. If that's the case and the second choices will be counted
Yeah, it's a good system that helps labour even when the national party is less popular, hence the Tories want to replace it with first past the post...
Calculated crystals, kept here for reference
____________
# 1
This entry pairs a crystal structure of TmInPd5 with its theoretical powder diffraction line list. Radiation: Cu Kα (λ = 1.5418 Å). Structure: a cell relaxed with GGA-PBE.
Intensities are scaled so that the largest is 100.

Main lines, in order of rising 2θ (10° ≤ 2θ ≤ 90°):
Position (°2θ), d_spacing, intensity, (hkl)
25.3, 3.513, 69, 0 2 0
32.8, 2.730, 71, 1 2 1
37.9, 2.374, 90, 2 1 1
38.9, 2.317, 100, 0 1 3
41.6, 2.169, 52, 2 0 2
49.4, 1.846, 35, 2 2 2

```
data_TmInPd5
_space_group_name_H-M_alt 'I m m 2'
_space_group_IT_number 44
_cell_length_a 5.369
_cell_length_b 7.027
_cell_length_c 7.363
_cell_angle_alpha 90.00
_cell_angle_beta 90.00
_cell_angle_gamma 90.00
loop_
_space_group_symop_operation_xyz
'x,y,z'
'-x,-y,z'
'-x,y,z'
'x,-y,z'
'x+1/2,y+1/2,z+1/2'
'-x+1/2,-y+1/2,z+1/2'
'-x+1/2,y+1/2,z+1/2'
'x+1/2,-y+1/2,z+1/2'
loop_
_atom_site_label
_atom_site_fract_x
_atom_site_fract_y
_atom_site_fract_z
Tm1 0.000 0.000 0.000
In1 0.000 0.500 0.156
Pd1 0.000 0.000 0.653
Pd2 0.000 0.314 0.482
Pd3 0.243 0.500 0.814
```

***

# 2
This entry pairs a crystal structure of Tm11In9Pd4 with its theoretical powder diffraction line list. Radiation: Cu Kα (λ = 1.5418 Å). Structure: a cell relaxed with GGA-PBE.
Intensities are scaled so that the largest is 100.

Main lines, in order of rising 2θ (10° ≤ 2θ ≤ 90°):
Position (°2θ), d_spacing, intensity, (hkl)
32.1, 2.787, 7, 2 4 1
33.3, 2.694, 11, 3 3 1
35.0, 2.566, 100, 0 6 1
37.2, 2.417, 13, 3 5 1
50.4, 1.812, 14, 0 0 2
62.8, 1.480, 14, 4 6 2

```
data_Tm11In9Pd4
_space_group_name_H-M_alt 'C m m m'
_space_group_IT_number 65
_space_group_name_Hall '-C 2 2'
_cell_length_a 14.509
_cell_length_b 21.838
_cell_length_c 3.622
_cell_angle_alpha 90.00
_cell_angle_beta 90.00
_cell_angle_gamma 90.00
loop_
_atom_site_label
_atom_site_fract_x
_atom_site_fract_y
_atom_site_fract_z
Tm1 0.000 0.000 0.000
Tm2 0.000 0.160 0.000
Tm3 0.000 0.372 0.000
Tm4 0.192 0.500 0.000
Tm5 0.243 0.171 0.000
In1 0.000 0.500 0.500
In2 0.106 0.262 0.500
In3 0.143 0.072 0.500
Pd1 0.152 0.399 0.500
```

***

# 3
This entry pairs a crystal structure of Tm2InPd4 with its theoretical powder diffraction line list. Radiation: Cu Kα (λ = 1.5418 Å). Structure: a cell relaxed with GGA-PBE.
Intensities are scaled so that the largest is 100.

Main lines, in order of rising 2θ (10° ≤ 2θ ≤ 90°):
Position (°2θ), d_spacing, intensity, (hkl)
34.1, 2.631, 93, 2 1 -1
34.2, 2.619, 100, -1 1 2
34.7, 2.583, 68, 1 -2 2
35.2, 2.552, 53, -2 2 1
40.4, 2.234, 62, 0 1 2
40.8, 2.209, 55, 0 2 -3

```
data_Tm2InPd4
_space_group_name_H-M_alt 'P 1'
_space_group_IT_number 1
_cell_length_a 7.020
_cell_length_b 7.023
_cell_length_c 7.186
_cell_angle_alpha 109.74
_cell_angle_beta 109.67
_cell_angle_gamma 107.39
loop_
_space_group_symop_operation_xyz
'x,y,z'
loop_
_atom_site_label
_atom_site_fract_x
_atom_site_fract_y
_atom_site_fract_z
Tm1 0.000 0.000 0.000
Tm2 0.009 0.564 0.215
Tm3 0.168 0.406 0.717
Tm4 0.603 0.396 0.500
In1 0.468 0.159 0.942
In2 0.764 0.864 0.442
____________
And of course if bailey scores 50% or more then any split green/labour vote will mathematically inevitably be under 50% and therefore the split vote is irrelevant.
And yeah, it's fairly mental that the greens could oppose ltns in general, but politicians going to politic I suppose.
• #32
politicians going to politic
lol. happy voting
• #33
I won't be voting for Green despite wanting to, because Sian Berry is anti GM and anti nuclear and that to me shows an underlying inability to understand evidence, so I have zero confidence in her ability to make any evidence based decisions at all.
• #34
Reasonable anti berry sentiments, but GM crops and nuclear power have little to do with local politics... The mayor can bugger around with roads, some housing. So worth holding your nose and voting for the pragmatic candidate?
• #35
anti nuclear and that to me shows an underlying inability to understand evidence
Can you expand or point me in the right direction?Oh. Energy not warheads. Nevermind.
• #36
I quite like the idea of London having it's own stockpile, to be honest.
In other news, I had a Lawrence whatitchops advert on my facebook feed today.
Does he think that he can get in on the taxi driver vote alone?
• #37
He's polling less than 1%.
He seems to have had a thing about cyclists ever since he almost murdered his own son by throwing him under the wheels of a passing cyclist. "Why can't they get a horse?" he demanded on Room 101.
• #38
He's polling less than 1%.
Tough race for this with him and Brian
• #39
he almost murdered his own son by throwing him under the wheels of a passing cyclist. "Why can't they get a horse?" he demanded on Room 101.
Wait, is there a real story here? And TF the BBC put that racist heroin needle on Room 101?
• #41
Bet he becomes PM in 2029
• #42
He'll be a) committed or b) a committed Marxist by 2029.
• #43
If that becomes true, I will burn you on a pyre as a witch.
• #44
So the reform party/brexit party have pop up on face booke claiming they will remove the congestion charge and ULEZ zones.
• #45
I'll happily wager Count Binface gets more votes.
• #46
• #47
• #48
The hand dryer in The Crown Uxbridge. Ridiculous:
• #49
All around that entire area has probably been touched by freaks who sit down to wipe.
• #50
some valid points but nothing about cyclists?! I am voting Laurence Fox
But fortunately Bailey is lamentable,
so I can vote Green/Sadiq and sleep soundly.